michael moore’s sicko, pinocchio, rugby and a movie about PTSD – you’d think they don’t have that much in common. but they do. these and other posts featured here today are all written by a community of people who truly want to make the world a better place.
welcome to the 105th carnival of healing, then! thanks, phylameana, for inviting me to host this week’s edition.
here is the lineup:
10 facts you never knew from “sicko” at noedb: nursing online education database
although this article cannot cover all the points that moore covered in his movie, we’ve tried to cover the most controversial points. all moore did with this movie was point to the health insurance industry as a thorn in the side of the U.S. healthcare system.
medical tourism, another topic in this film, already claims at least 500,000 known americans who were treated abroad for medical conditions in 2006. this healthcare alternative, claims the association for the advancement of retired persons, is the simple answer for many to get needed treatment without devastating their savings.
when you feel like giving up at the next 45 years
pick yourself up. think about how good it will feel when you cross the finishing line. think not only about how good it will feel to finally accomplish your goal, but think about how good you are going to feel about yourself for finishing.when you feel like giving up, this is the time to reach down deep into your soul. shut off the tape that plays the lie you can’t do it. replace it with a new tape that states the truth – you are a worthy person and the enemy of your soul has been defeated.
seize the day at the human imprint talks about a now-departed friend who coached a rugby team in george (of the former USSR)
[he] felt the sporting ethos, especially that of rugby union, that catered for all shapes and sizes in one team, could transcend differences and difficulties and help to create mutual support and teamwork among a group of individuals. he once wrote to me about the young men that were learning the game who were turning up to train, many of them unable to afford the bus fare who were walking there and back as well as training for the games.he also said that they expressed great determination, resilience and spirit in their tackling and forward play, never giving up and commiting themselves totally to everything they did. well, last night they proved him right in every way.
methods as temporary tools instead of lifetime crutches at tupelo kenyon
by choosing to remain attached to the same old methods of yesteryear, we may as well be a stone. stones don’t grow, blossom and unfold into ever-expanding awareness. but we do . . . by understanding that our methods (all of our methods) are only transient tools to help us build a life of ever-growing personal development.
# 1
C8H14Br4F2NO4S | ωB97M-V/def2-TZVPD

Geometry (Å):
H  4.1749  3.2118  0.2084
H  6.0601  1.4171  1.8938
H  -2.1517  -0.3302  0.9857
H  -2.6034  -5.8139  0.6300
Br  5.1374  1.1895  -0.9001
O  -3.8043  2.1954  0.8396
H  2.1595  0.6320  0.1601
C  -2.6843  -4.7454  0.4109
Br  -3.2814  -2.6840  -1.4901
C  -1.5297  0.0062  0.0247
C  -2.4691  2.2238  0.7768
C  -2.7285  -4.5089  -1.0808
O  -3.7018  0.8746  -2.1838
C  1.0963  0.7917  -0.3593
H  5.9501  3.3073  0.0811
H  -1.7659  -4.6691  -1.5743
H  -3.4830  -5.1464  -1.5502
H  5.4951  3.0087  2.4636
F  1.1537  0.3555  -1.7774
S  -2.4212  1.7148  -1.8962
Br  3.6273  1.3903  2.4644
H  0.3670  -1.3515  0.2548
N  -1.7368  1.4668  -0.3089
O  -1.3176  1.5425  -3.0115
F  -2.9127  3.3873  -2.0240
H  -1.8580  -0.7217  -0.8542
C  0.0578  -0.2109  0.4201
O  -1.6032  2.9571  1.7589
Br  -1.0941  -3.9436  1.2062
C  5.1104  2.6692  0.3704
H  -3.5479  -4.3348  0.9412
C  5.2795  2.1757  1.7885
H  0.8606  1.9354  -0.2479
H  0.1649  0.0078  1.5794

- Total charge: -1
- M: 577.9 g mol⁻¹
- HOMO-LUMO gap: 0.26470 Eh
- LUMO energy: 2.201 eV


# 2
C27H16Cl2F6N6O6S2Tl | ωB97M-V/def2-TZVPD

Geometry (Å):
F  3.2462  1.1168  4.2074
F  1.2245  1.0721  3.4492
C  -4.3465  -1.1279  -1.1068
H  2.4891  -1.7735  -0.3543
C  2.6147  -1.4106  2.8069
H  4.6437  1.0306  1.4974
O  -2.1686  -6.4004  -3.7533
S  1.2975  0.6529  -2.1824
C  -1.8240  -2.1614  -1.2556
C  1.0964  -4.3903  -1.9959
C  -1.1353  5.8494  1.5884
H  -3.4718  -4.7884  -2.6925
O  -0.3090  -6.7017  -2.7260
H  2.5047  2.1043  0.0686
C  -3.2085  -0.4370  -0.6673
O  2.3566  3.0855  -1.7733
H  3.7149  1.6409  -1.1338
H  -5.0312  -2.9402  -2.0164
H  1.3368  -5.3217  -2.4808
C  4.4178  0.0441  1.8988
C  3.1354  2.4717  -0.7339
C  -3.7370  -1.8287  2.9906
Cl  0.0227  4.1975  3.3633
C  -0.5773  3.5966  0.7784
C  -1.2279  3.9567  -0.4355
H  4.9985  -0.1167  2.8053
N  -1.2787  -6.0305  -3.0178
N  0.5111  -1.9931  -0.7488
N  -0.9088  -0.2752  1.8639
O  2.2457  0.0486  0.9395
H  -2.1602  5.4947  -1.6129
C  -1.4005  -4.6777  -2.4097
C  -1.8553  -0.5768  2.4754
C  2.5045  1.1091  3.0785
O  -1.4191  1.7709  -1.3866
C  -0.2467  -3.9640  -1.9081
F  1.3413  -1.5729  3.1673
F  2.7193  2.2821  2.4692
Cl  -2.2667  7.8151  0.0759
Tl  0.1635  0.4063  0.1194
C  2.8988  -0.0456  2.1282
C  -1.6622  6.1913  0.3372
N  -1.9926  -0.9320  -0.7391
S  0.7838  3.1274  -3.7799
H  -3.2940  0.5549  -0.2386
C  1.5269  2.3656  -2.5193
H  4.6874  -0.7036  1.1539
N  -2.8675  -0.8591  3.1833
H  -5.3235  -0.6752  -1.0096
C  -2.6465  -4.1952  -2.3245
C  -0.6202  4.5992  1.8013
C  -1.5569  2.9831  -1.4593
C  -4.1836  -2.3680  -1.6562
H  -2.0339  3.3972  -2.3646
C  -0.4796  -2.7211  -1.3016
H  3.1205  -3.9271  -1.5141
N  -4.5528  -2.6442  2.8705
C  -2.8925  -2.9118  -1.7453
C  2.0852  -3.6199  -1.4553
F  3.3696  -1.6331  3.8977
H  -1.1407  6.5706  2.3951
H  3.7901  3.2643  -0.3820
O  0.0343  2.5002  0.9946
C  1.7526  -2.4211  -0.8149
F  2.9057  -2.4077  1.9420
C  -1.7203  5.2532  -0.6514

- Total charge: -1
The page goes on >
helping people understand you have PTSD at dr. patricia sherman – healing is possible
… it can be difficult for the people in your life to acknowledge that you have been traumatized. often they will try to cope with their feelings of helplessness by denying or being blind to what you are trying to tell them. they may also be feeling angry at whatever or whoever hurt you, but don’t know what to do with their anger. so what do you do?
bringing the law of attraction into the workplace at ask the careercounselor
recognize that you are creating your own drama. deliberately choose to shift you attitude. for example, if you find yourself reacting to a customer, take a deep breath and reach for a more objective attitude. you might work on depersonalizing, considering the other person’s point of view, generating empathy and compassion, becoming less serious…get the picture?
make it real at 21st century citizen
Misplaced calculated molecules:
<<<
# 1
# C66H61FN7O8PSr

A molecular structure, C66H61FN7O8PSr at a distorted geometry (the ωB97M-V functional and the def2-TZVPD basis, OMol25).

Summary:
- gap between HOMO and LUMO (eV) = 5.8
- relative energy (zero: lowest compared OMol25 entry of this formula, charge and spin) (eV) = 0.0000
- DFT total energy (hartree) = -4008.83727
- lowest unoccupied orbital energy (eV) = 3.63
- HOMO energy (hartree) = -0.0789

```
! wB97M-V def2-TZVPD RIJCOSX def2/J DEFGRID3
* xyz -2 1
Sr 0.395 -0.859 -0.249
O 3.241 -3.680 1.646
C 2.762 -2.999 0.738
O 1.591 -2.505 0.716
C 3.683 -2.702 -0.463
C 4.821 -3.459 -0.525
C 5.792 -3.271 -1.517
C 5.632 -2.281 -2.460
C 4.515 -1.480 -2.404
C 3.445 -1.650 -1.440
O 2.410 -0.933 -1.486
N 4.452 -0.421 -3.395
O 5.008 -0.607 -4.476
O 3.877 0.616 -3.120
N 6.981 -4.086 -1.543
O 7.113 -4.959 -0.697
O 7.824 -3.870 -2.409
H 4.964 -4.204 0.245
H 6.378 -2.115 -3.222
C 0.876 1.874 5.144
C 1.470 3.236 4.903
C 1.264 4.277 5.805
C 1.838 5.527 5.624
C 2.638 5.759 4.515
C 2.835 4.748 3.589
C 2.260 3.491 3.771
N 2.501 2.468 2.832
C 1.531 1.891 1.999
N 0.298 2.434 2.186
C -0.992 2.146 1.629
C -1.196 1.066 0.764
C -2.523 0.952 0.316
C -3.540 1.850 0.625
C -3.263 2.913 1.475
C -1.988 3.068 2.006
C -1.709 4.220 2.946
N 1.850 0.961 1.163
C 3.227 0.608 1.100
C 3.743 -0.398 1.910
C 5.073 -0.778 1.805
C 5.901 -0.150 0.887
C 5.388 0.859 0.080
C 4.059 1.257 0.173
C 3.490 2.331 -0.710
H 0.704 1.717 6.209
H 1.538 1.092 4.770
H -0.076 1.748 4.622
H 0.652 4.089 6.681
H 1.665 6.313 6.348
H 3.096 6.729 4.361
H 3.432 4.918 2.700
H 3.443 2.377 2.480
H 0.318 3.250 2.771
H -2.776 0.099 -0.320
H -4.540 1.732 0.217
H -4.040 3.624 1.740
H -2.617 4.803 3.105
H -0.947 4.905 2.553
H -1.362 3.882 3.929
H 3.078 -0.918 2.589
H 5.438 -1.601 2.407
H 6.933 -0.462 0.776
H 6.024 1.338 -0.658
H 4.250 2.723 -1.386
H 3.076 3.158 -0.128
H 2.677 1.926 -1.316
O -2.923 -2.622 -3.655
N -2.893 -1.247 -3.758
C -3.527 -0.620 -2.854
C -3.645 0.850 -2.966
C -4.916 1.407 -2.886
C -5.115 2.761 -3.102
C -4.030 3.567 -3.404
C -2.754 3.024 -3.437
C -2.532 1.670 -3.192
P -0.840 1.004 -2.901
C -0.231 0.508 -4.549
C 1.022 -0.103 -4.583
C 1.576 -0.501 -5.793
C 0.865 -0.322 -6.972
C -0.396 0.262 -6.939
C -0.940 0.682 -5.734
C 0.087 2.573 -2.645
C -0.209 3.302 -1.489
C 0.474 4.472 -1.198
C 1.472 4.927 -2.052
C 1.777 4.205 -3.196
C 1.087 3.035 -3.494
H -3.032 -2.868 -2.719
H -4.070 -1.143 -2.064
H -5.758 0.759 -2.667
H -6.111 3.183 -3.040
H -4.171 4.626 -3.584
H -1.908 3.675 -3.617
H 1.572 -0.259 -3.660
H 2.562 -0.948 -5.810
H 1.289 -0.645 -7.915
H -0.960 0.388 -7.857
H -1.925 1.133 -5.713
H -0.976 2.945 -0.812
H 0.232 5.019 -0.294
H 2.020 5.833 -1.818
H 2.566 4.541 -3.859
H 1.349 2.474 -4.383
C 0.053 -1.234 3.456
C -0.568 -2.570 3.036
C -0.151 -3.683 3.998
C -2.070 -2.449 2.892
C -2.858 -2.302 4.028
C -4.239 -2.211 3.947
C -4.838 -2.271 2.699
C -4.080 -2.406 1.539
C -4.796 -2.470 0.202
C -5.628 -3.747 0.067
C -5.664 -1.231 -0.038
C -2.673 -2.480 1.616
N -1.883 -2.528 0.455
C -1.674 -3.745 -0.082
>>>
take a step today ” a small step or a large step ” but take some step. take a step toward making the better world of your imagination real.
pinocchio and the meaning of life at brendan mcphillip’s blog:
pinocchio perfectly symbolizes our dual nature; our material self and our real self. of course pinocchio’s material self is as a wooden puppet. our material selves aren’t made of wood (although i love the english phrase of describing someone who’s not to intelligent as being “thick as two planks”) but we are made of physical, emotional and mental material that combine to create our body. this is the material self that you’ve come to know and love complete with all its sensations, habits,likes, dislikes, thoughts, habits and attitudes. but there’s more to us that this body.
other submissions included
## Calculated molecules that have nothing to do with the article
Entry 1:
{
  "formula": "C11H18Cl2N2O2PPb",
  "method": "wB97M-V/def2-TZVPD",
  "species": ["C", "C", "H", "H", "H", "O", "Cl", "Pb", "P", "C", "C", "H", "H", "H", "C", "H", "H", "H", "H", "H", "H", "C", "O", "Cl", "N", "C", "C", "C", "N", "C", "C", "H", "H", "H", "H", "H", "H"],
  "positions_angstrom": [[1.236, 0.981, -5.533], [1.193, 1.357, -4.114], [1.820, 1.804, -6.082], [0.137, 0.817, -5.822], [1.646, -0.086, -5.594], [1.760, 1.769, -3.125], [-0.661, -1.761, -3.832], [-0.515, 0.149, -2.327], [1.873, -1.041, 0.174], [3.235, -0.554, 1.298], [1.591, -2.706, 0.832], [2.237, -1.859, -2.083], [3.647, -2.186, -0.988], [3.383, -0.530, -1.673], [2.876, -1.435, -1.282], [0.789, -3.173, 0.215], [2.532, -3.306, 0.806], [4.024, -1.327, 1.303], [2.831, -0.427, 2.313], [1.220, -2.638, 1.876], [3.656, 0.407, 0.969], [0.871, 1.310, 0.577], [0.966, 2.251, 1.261], [-1.185, -2.197, -1.005], [-4.641, 1.499, 3.750], [-3.700, 1.075, 2.882], [-4.005, 0.835, 1.515], [-2.972, 0.451, 0.657], [-1.703, 0.348, 1.075], [-1.418, 0.459, 2.367], [-2.372, 0.834, 3.313], [-5.622, 1.700, 3.444], [-4.424, 1.701, 4.729], [-5.026, 0.960, 1.130], [-3.168, 0.200, -0.395], [-0.405, 0.237, 2.680], [-2.092, 0.962, 4.350]],
  "forces_ev_per_angstrom": [[-1.97, -0.78, 0.02], [6.83, 3.00, 4.82], [-0.83, -1.01, 0.68], [1.39, 0.56, -0.29], [-0.08, 1.28, 0.25], [-4.26, -2.48, -6.56], [0.67, 1.01, -1.40], [-2.04, -3.12, 1.43], [2.92, -2.76, 1.02], [-0.51, 1.34, 0.32], [-1.68, -0.68, 0.19], [0.42, 0.01, 0.34], [-0.62, 0.54, -0.04], [-0.13, -0.49, 0.21], [-0.29, 0.53, -1.59], [0.75, 0.06, 0.57], [-0.53, 0.68, -0.07], [-0.50, 0.19, -0.16], [0.29, -0.05, -0.22], [0.23, -0.12, -0.56], [0.08, -0.27, 0.22], [0.42, 4.88, 2.77], [-0.39, -4.22, -2.90], [0.31, 1.87, 0.52], [-0.24, 0.02, -0.92], [-0.78, 0.32, 0.59], [-0.20, -0.22, -1.13], [-0.80, 0.24, 0.51], [0.09, -0.24, -0.49], [-0.97, 0.25, 0.97], [0.91, -0.20, -0.05], [1.13, -0.30, 0.32], [-0.02, -0.14, -0.27], [0.48, -0.08, 0.23], [-0.03, 0.24, 0.58], [-0.03, 0.17, 0.04], [-0.02, -0.03, 0.04]],
  "mulliken_charge": [-0.62, 0.61, 0.37, 0.37, 0.37, -0.19, -0.31, 0.83, 0.94, -1.31, -1.18, 0.35, 0.45, 0.36, -1.08, 0.31, 0.46, 0.42, 0.42, 0.38, 0.44, 0.11, -0.15, -0.35, -0.30, 1.21, -0.70, -0.32, 0.05, -0.23, -0.75, 0.30, 0.28, 0.36, 0.33, 0.42, 0.37],
  "total_energy_ev": -58322.7033,
  "e_above_lowest_ev": 3.320,
  "charge": 3,
  "e_homo_ev": [-17.738, -17.727]
}


Entry 2:
{
  "formula": "C2H6N2O2",
  "method": "wB97M-V/def2-TZVPD",
  "species": ["C", "N", "N", "C", "O", "O", "H", "H", "H", "H", "H", "H"],
  "positions_angstrom": [[-0.694, -0.773, 0.729], [-0.029, -1.365, -0.210], [-0.250, -0.554, 1.981], [0.386, 0.588, -1.763], [0.599, 1.506, -0.668], [-0.455, 0.851, -2.601], [-0.036, 2.225, -0.850], [0.908, -1.604, 0.115], [-1.716, -0.426, 0.530], [0.751, -0.554, 2.129], [-0.739, 0.147, 2.525], [1.274, -0.041, -1.918]],
## End of the calculated molecules
- vision – the online movie at lori prokop – keyboard culture
- easiest way to fight parasitic fungus at all about your body and spirit
- types of alcoholism treatments at addiction recovery blog
last week’s carnival was at deepest health, and next week’s carnival will be at therapeutic reiki (thanks for the lovely intro, astrid!).
if you’d like to submit to, or host future carnivals, please visit the carnival of healing homepage.